Listing >
Starting from a crystal structure in the Materials Project, relaxed with GGA-PBE, the powder diffractogram of SrLaMg14 was computed for Cu Kα (λ = 1.5418 Å).

Cell: 6.816 6.816 10.418 Å, 90.00 90.00 120.00°
Sites, in units of the cell vectors:
Sr (0.000, 0.000, 0.000)
La (0.000, 0.000, 0.500)
Mg (0.008, 0.504, 0.000)
Mg (0.008, 0.504, 0.500)
Mg (0.175, 0.350, 0.252)
Mg (0.175, 0.350, 0.748)
Mg (0.175, 0.825, 0.252)
Mg (0.175, 0.825, 0.748)
Mg (0.496, 0.504, 0.000)
Mg (0.496, 0.504, 0.500)
Mg (0.496, 0.992, 0.000)
Mg (0.496, 0.992, 0.500)
Mg (0.650, 0.825, 0.252)
Mg (0.650, 0.825, 0.748)
Mg (0.667, 0.333, 0.251)
Mg (0.667, 0.333, 0.749)

Most intense lines, 2θ = 5–70°, by intensity:
hkl	2theta	I (rel.)
2 0 2	34.9	100
1 0 0	15.0	39
1 0 2	22.8	38
2 0 0	30.3	30
0 0 4	34.4	23
2 2 4	65.5	19

Activity >
The reader should write out the whole of the block further up without altering anything.

Worked solution >
Starting from a crystal structure in the Materials Project, relaxed with GGA-PBE, the powder diffractogram of SrLaMg14 was computed for Cu Kα (λ = 1.5418 Å).

Cell: 6.816 6.816 10.418 Å, 90.00 90.00 120.00°
Sites, in units of the cell vectors:
Sr (0.000, 0.000, 0.000)
La (0.000, 0.000, 0.500)
Mg (0.008, 0.504, 0.000)
Mg (0.008, 0.504, 0.500)
Mg (0.175, 0.350, 0.252)
Mg (0.175, 0.350, 0.748)
Mg (0.175, 0.825, 0.252)
Mg (0.175, 0.825, 0.748)
Mg (0.496, 0.504, 0.000)
Mg (0.496, 0.504, 0.500)
Mg (0.496, 0.992, 0.000)
Mg (0.496, 0.992, 0.500)
Mg (0.650, 0.825, 0.252)
Mg (0.650, 0.825, 0.748)
Mg (0.667, 0.333, 0.251)
Mg (0.667, 0.333, 0.749)

Most intense lines, 2θ = 5–70°, by intensity:
hkl	2theta	I (rel.)
2 0 2	34.9	100
1 0 0	15.0	39
1 0 2	22.8	38
2 0 0	30.3	30
0 0 4	34.4	23
2 2 4	65.5	19